Membership Surveys

Membership organizations have a distinct advantage over many for-profit businesses – they know who their members are and can more easily communicate with them. Additionally, members themselves have a vested interested in seeing the organization – their organization - succeed and are therefore more willing than typical “customers" to share their opinions and experiences.

Members want to feel good about their decision to join the organization. They want to feel that being a member has value, either for themselves, for others, their industry, or for a cause they care about. Delivering on that value, so members will feel proud of belonging to the organization, is critical to success.

The most significant challenge for many associations is retention and recruitment. Relevance is key - what motivates people (or companies) to join, what motivates them to renew, what makes membership worthwhile – these are fundamental questions that can be addressed with a member survey.

Most associations offer an array of benefits and services to encourage membership and strengthen members’ operations. Most also provide mechanisms whereby members can express their concerns. However, it is often the case that many benefits and services are underutilized and participation in committees and other activities is limited to a core group of members that are willing to attend meetings and speak up. The views of this core group, while important, are not necessarily the views of the entire membership. A deep understanding of your entire membership - their values, opinions, and what they want from the organization - is key to keeping the organization vital and moving forward.

Membership surveys are the best tool to develop that deep understanding. With research that is properly designed and conducted you can hear from all segments of the membership or one or more targeted segments.

**These materials data were left in the text by mistake**
- - -
Record 1
# Na30Nb4Zn20Si9S27O144

A relaxed structure of Na30Nb4Zn20Si9S27O144 (PBE, the Materials Project).

Unit cell a=9.034 b=15.464 c=22.414 alpha=89.26 beta=89.93 gamma=89.98
Space group P1 (No. 1)
Inequivalent atoms, fractional coordinates:
1 Na 0.000 0.000 0.000 x1
2 Na 0.004 0.335 0.332 x1
3 Na 0.014 0.670 0.667 x1
4 Na 0.048 0.317 0.991 x1
5 Na 0.055 0.021 0.321 x1
6 Na 0.180 0.845 0.162 x1
7 Na 0.241 0.835 0.832 x1
8 Na 0.245 0.499 0.499 x1
9 Na 0.356 0.328 0.578 x1
10 Na 0.358 0.674 0.916 x1
11 Na 0.359 0.678 0.414 x1
12 Na 0.363 0.018 0.747 x1
13 Na 0.383 0.018 0.247 x1
14 Na 0.392 0.336 0.083 x1
15 Na 0.500 0.500 0.001 x1
16 Na 0.504 0.836 0.332 x1
17 Na 0.547 0.489 0.662 x1
18 Na 0.555 0.518 0.320 x1
19 Na 0.573 0.842 0.659 x1
20 Na 0.680 0.689 0.501 x1
21 Na 0.688 0.652 0.821 x1
22 Na 0.692 0.021 0.821 x1
23 Na 0.743 0.335 0.831 x1
24 Na 0.746 0.000 0.500 x1
25 Na 0.867 0.173 0.913 x1
26 Na 0.871 0.834 0.077 x1
27 Na 0.872 0.181 0.416 x1
28 Na 0.872 0.841 0.581 x1
29 Na 0.876 0.509 0.246 x1
30 Na 0.896 0.500 0.748 x1
31 Nb 0.364 0.000 0.096 x1
32 Nb 0.385 0.002 0.595 x1
33 Nb 0.857 0.497 0.097 x1
34 Nb 0.885 0.494 0.597 x1
35 Zn 0.356 0.335 0.726 x1
36 Zn 0.359 0.330 0.430 x1
37 Zn 0.368 0.669 0.061 x1
38 Zn 0.370 0.659 0.252 x1
39 Zn 0.371 0.997 0.900 x1
40 Zn 0.373 0.000 0.398 x1
41 Zn 0.376 0.651 0.750 x1
42 Zn 0.383 0.340 0.224 x1
43 Zn 0.386 0.671 0.565 x1
44 Zn 0.389 0.332 0.929 x1
45 Zn 0.859 0.167 0.064 x1
46 Zn 0.866 0.840 0.722 x1
47 Zn 0.867 0.835 0.429 x1
48 Zn 0.870 0.163 0.251 x1
49 Zn 0.873 0.841 0.225 x1
50 Zn 0.878 0.494 0.398 x1
51 Zn 0.880 0.162 0.751 x1
52 Zn 0.881 0.495 0.898 x1
53 Zn 0.883 0.171 0.561 x1
54 Zn 0.891 0.831 0.932 x1
55 Si 0.008 0.021 0.159 x1
56 Si 0.023 0.345 0.489 x1
57 Si 0.226 0.846 0.990 x1
58 Si 0.235 0.520 0.657 x1
59 Si 0.505 0.521 0.159 x1
60 Si 0.518 0.849 0.489 x1
61 Si 0.675 0.668 0.661 x1
62 Si 0.723 0.346 0.990 x1
63 Si 0.738 0.025 0.659 x1
64 S 0.018 0.647 0.492 x1
65 S 0.020 0.982 0.827 x1
66 S 0.022 0.687 0.827 x1
67 S 0.024 0.315 0.160 x1
68 S 0.075 0.666 0.160 x1
69 S 0.077 0.333 0.828 x1
70 S 0.082 0.000 0.491 x1
71 S 0.163 0.502 0.992 x1
72 S 0.167 0.833 0.326 x1
73 S 0.171 0.168 0.660 x1
74 S 0.225 0.483 0.327 x1
75 S 0.227 0.817 0.661 x1
76 S 0.229 0.188 0.326 x1
77 S 0.230 0.148 0.992 x1
78 S 0.518 0.188 0.827 x1
79 S 0.519 0.150 0.490 x1
80 S 0.520 0.483 0.828 x1
81 S 0.524 0.815 0.161 x1
82 S 0.575 0.168 0.160 x1
83 S 0.580 0.835 0.828 x1
84 S 0.583 0.499 0.491 x1
85 S 0.664 0.001 0.991 x1
86 S 0.665 0.333 0.327 x1
87 S 0.723 0.312 0.661 x1
88 S 0.725 0.984 0.327 x1
89 S 0.729 0.688 0.328 x1
90 S 0.730 0.648 0.991 x1
91 O 0.045 0.853 0.994 x1
92 O 0.048 0.507 0.649 x1
93 O 0.060 0.492 0.331 x1
94 O 0.062 0.181 0.323 x1
95 O 0.063 0.493 0.046 x1
96 O 0.066 0.828 0.668 x1
97 O 0.067 0.154 0.997 x1
98 O 0.072 0.823 0.380 x1
99 O 0.075 0.515 0.938 x1
100 O 0.077 0.843 0.270 x1
101 O 0.081 0.182 0.607 x1
102 O 0.085 0.151 0.715 x1
103 O 0.162 0.651 0.216 x1
- - -

Omnibus Member Survey

So named for the omnibus that holds many passengers, this survey addresses many topics; it’s what most people have in mind when they think about a membership survey. This survey assesses member awareness of organization positions, products, and services; agreement or disagreement with the mission and policy positions; the level of awareness and involvement in programs and activities; use of communications media like emails and the website. The survey identifies ways to make the organization more relevant to the greatest number of members in order to increase participation and involvement.

For trade associations, the omnibus survey usually includes questions from different departments: education, government affairs, communications, etc, which allows departments to better implement their own strategic plans. Repeating the study every 2-5 years allows departments to fine-tune their plans. When studies are repeated in this way, they are often designed so that some of the questions remain unchanged (such as awareness questions and service evaluation questions) so results can be tracked over time. Questions related to current or proposed issues, policies, or activities, change each cycle.

**Materials data, as found in the file:**
-- begin --
First-principles (PBE-GGA) data for a relaxed structure of PrErZn2, as listed in Materials Project.

a b c (Å): 7.2571 7.2571 7.2571
angles (deg): 90.00 90.00 90.00
Space group Fm-3m (No. 225)
Asymmetric unit:
Pr (0.0000, 0.0000, 0.0000)
Er (0.0000, 0.0000, 0.5000)
Zn (0.2500, 0.2500, 0.2500)

Output
energy relative to the elements = -0.317 eV/atom


1.
Computed, not measured: Zn3Ga2N4 after structural relaxation at the PBE-GGA level of DFT.

Cell lengths 5.3506, 10.8391, 8.0240 Å; angles 90.00, 90.00, 90.00 degrees
Closest atoms and distances in Å follow each position.
Element x y z (fractional)
Zn  0.7264  0.1463  0.3755  3 N 1.95-2.10
Zn  0.7736  0.8537  0.3755  3 N 1.95-2.10
Zn  0.7264  0.3537  0.1245  3 N 1.95-2.10
Zn  0.7736  0.6463  0.1245  3 N 1.95-2.10
Zn  0.2736  0.8537  0.6245  3 N 1.95-2.10
Zn  0.2264  0.1463  0.6245  3 N 1.95-2.10
Zn  0.2736  0.6463  0.8755  3 N 1.95-2.10
Zn  0.2264  0.3537  0.8755  3 N 1.95-2.10
Zn  0.7500  0.5000  0.4449  2 N 2.00
Zn  0.7500  0.0000  0.0551  2 N 2.00
Zn  0.2500  0.5000  0.5551  2 N 2.00
Zn  0.2500  0.0000  0.9449  2 N 2.00
Ga  0.7500  0.5000  0.7985  4 N 1.94-2.01
Ga  0.7500  0.0000  0.7015  4 N 1.94-2.01
Ga  0.2500  0.5000  0.2015  4 N 1.94-2.01
Ga  0.2500  0.0000  0.2985  4 N 1.94-2.01
Ga  0.7778  0.2500  0.7500  4 N 1.93-2.06
Ga  0.7222  0.7500  0.7500  4 N 1.93-2.06
Ga  0.2222  0.7500  0.2500  4 N 1.93-2.06
Ga  0.2778  0.2500  0.2500  4 N 1.93-2.06
N  0.9960  0.3959  0.6717  2 Zn 2.00-2.10, 2 Ga 2.01-2.06
N  0.5040  0.6041  0.6717  2 Zn 2.00-2.10, 2 Ga 2.01-2.06
N  0.9960  0.1041  0.8283  2 Zn 2.00-2.10, 2 Ga 2.01-2.06
N  0.5040  0.8959  0.8283  2 Zn 2.00-2.10, 2 Ga 2.01-2.06
N  0.0040  0.6041  0.3283  2 Zn 2.00-2.10, 2 Ga 2.01-2.06
N  0.4960  0.3959  0.3283  2 Zn 2.00-2.10, 2 Ga 2.01-2.06
N  0.0040  0.8959  0.1717  2 Zn 2.00-2.10, 2 Ga 2.01-2.06
N  0.4960  0.1041  0.1717  2 Zn 2.00-2.10, 2 Ga 2.01-2.06
N  0.5892  0.3565  0.8954  2 Ga 1.93-1.94, 2 Zn 1.95-1.98
N  0.9108  0.6435  0.8954  2 Ga 1.93-1.94, 2 Zn 1.95-1.98
N  0.5892  0.1435  0.6046  2 Ga 1.93-1.94, 2 Zn 1.95-1.98
N  0.9108  0.8565  0.6046  2 Ga 1.93-1.94, 2 Zn 1.95-1.98
N  0.4108  0.6435  0.1046  2 Ga 1.93-1.94, 2 Zn 1.95-1.98
N  0.0892  0.3565  0.1046  2 Ga 1.93-1.94, 2 Zn 1.95-1.98
N  0.4108  0.8565  0.3954  2 Ga 1.93-1.94, 2 Zn 1.95-1.98
N  0.0892  0.1435  0.3954  2 Ga 1.93-1.94, 2 Zn 1.95-1.98

Summary:
E_tot = -42.88 eV per formula unit
Formation enthalpy at 0 K = -126.8 meV per atom
ρ = 5.59 g cm⁻³
Size of the total moment = 0.0 μB/f.u.

2.
Computed, not measured: Zn3Ga2N4 after structural relaxation at the PBE-GGA level of DFT.

Cell lengths 6.4256, 9.3996, 5.3652 Å; angles 90.00, 93.98, 137.00 degrees
Closest atoms and distances in Å follow each position.
Element x y z (fractional)
Zn  0.2300  0.9587  0.1007  3 N 1.97-2.16
Zn  0.7700  0.7287  0.3993  3 N 1.97-2.16
Zn  0.7700  0.0413  0.8993  3 N 1.97-2.16
Zn  0.2300  0.2713  0.6007  3 N 1.97-2.16
Zn  0.0000  0.6564  0.7500  4 N 2.12-2.14
-- stop --

Here are some examples of topics than can be addressed in omnibus surveys. Having members’ perspectives on these can help you make better use of resources and fine-tune what you offer:

  • Motivation – Why members join or why they renew; is it to support a cause, for financial benefit, or another reason? Are you really meeting expectations ... the reasons members joined in the first place?

  • Politics & Policies – Prioritizing issues, agreement or disagreement with policies and the reasons why.

  • Services & Programs – Awareness and use of what the association offers, what members like or don’t like and why they participate or don’t participate.

  • Service Quality - Members have higher service expectations than ordinary retail customers. Quality service has multiple dimensions ... it's more than just friendliness. In some organizations, responsiveness is most important, in other organizations it's expertise. Find out where you are meeting, exceeding, or failing to meet members' customer service expectations.

  • Training, Education, & Certification - These essential programs for many trade associations can be improved with member input concerning awareness, appropriateness, content, usefulness, and satisfaction.

  • The Mission - Do members agree with and support the mission? Is it relevant to them today? Would they like to see the association move in another direction?

  • Facilities - For many membership organizations, like museums, health clubs, and recreation or entertainment organizations, facilities are a key element driving member involvement and satisfaction. Members can evaluate the pros and cons of facilities across many dimensions, such as location, atmosphere, cleanliness, equipment, lighting, amenities, and personal safety.

  • Communications - A survey can help maximize the effectiveness of various communications media (newsletters, websites, emails, action alerts, videos, social media, etc.) by examining use, likely use, satisfaction with content and value of proposed content.

  • Events – Organizing and producing events can be time-consuming and expensive. Surveys can be used to plan and evaluate events, and to help make decisions about the types of events to stage. In some cases surveys can be incorporated into an event. Better information can make events more relevant and more successful, and can identify barriers to better attendance.

Focus Survey

The advantage of the Omnibus Survey is that it addresses many topics and can be utilized across many departments. Unfortunately, it doesn't typically dive deep into any single issue. Sometimes what’s needed is to examine one or two issues in great depth. A focus survey can do that.

The focus survey can also be conducted as a follow-up to selected respondents from an omnibus survey. Imagine that the omnibus survey identifies a serious problem, but doesn’t provide the depth of response to really understand why the problem exists or what should be done about it. Members that reported this problem can be contacted again and asked more focused questions. If we have their email addresses, the focus survey can be conducted online.

The data from the focus survey can be merged with the data from the omnibus survey, eliminating the need to re-ask demographics or other questions required for analysis.

New Member Survey

Unlike surveys where many members are contacted simultaneously, the New Member Survey is on-going, with members contacted individually soon after joining. The questionnaire can be used to learn more about new members and/or their company, how they learned about the organization, why they joined, and the benefits they hope to realize from membership. Questions can be asked about the recruitment/sign-up process. Did new members receive the information they needed? Were benefits explained?

Some membership organizations offer a vast array of products, benefits, and programs. Sometimes these are poorly explained to new members and there is little if any effort to better integrate newcomers into the organization. A new member survey questionnaire can list (with descriptions) essentially every benefit the organization offers and ask new members to indicate their interest in knowing more. With this information in hand, the organization can contact new members to address their individual interests. Increasing the number of ways an individual member utilizes or participates in the organization also improves the chances they will maintain their membership. The questionnaire can also include important demographic metrics to add to your member database.

Although questions are distributed individually, the responses are entered into a database that accumulates in size over time. Reports can be issued periodically (e.g., quarterly or annually) with results tracked over time.

Lost Member Survey

Don't write-off members that don't renew - survey them instead. Knowing why they didn't renew their membership is critical information, especially if membership size is declining. Was the decision purely financial or did the association fail to meet their expectations in some way? What benefits were they looking for that they didn't find? What would it take to get them back? These are questions that must be answered to maintain enrollment numbers. At the very least it will tell you the percentage of member loss that is unavoidable.

Non-Member Survey

With associations that have a defined membership, like trade associations, it is possible to identify companies that are eligible for membership but haven’t joined. A non-member survey can find out if they are aware of the association, aware of the benefits, if they have been contacted by the association, and if they would like to be contacted. We cannot make actual sales calls, but we can provide non-members with contact information, and if they want to be contacted, we can provide you with their name and contact information.

Typically, non-member surveys focus on identifying the primary barriers to enrollment and the primary drivers that would encourage membership. It is also possible to match questions in a non-member survey with those from a member survey thus allowing us to compare members with non-members on key factors. Both groups, for example, could be asked about which legislative issues are most important, or which topics they would like to know more about. Question phrasing can be changed slightly, e.g., from “which of the following services are most valuable to your company?” for members, to “which of the following services would be most valuable to your company?” for non-members.

Co-op Member Survey

A co-op survey is one in which multiple associations can share either a membership survey or a focus survey regarding some issue. For example, some associations have multiple chapters within a state and they might share a survey, or three or four state associations might share a survey. Normally, a co-op survey is used as a lower-cost alternative to each party conducting the survey on their own. Typically, the sample size for each participating association is fairly small (depending on how the study is set up) but the overall sample size is statistically valid. A feature of the survey is that individual associations can compare their results against the overall total and against each other (associations can be either named or anonymous in the results). Depending on the needs of participants, some questions are asked of all respondents and some are unique to individual participants; usually about 80% of the questions are “in-common” and 20% are unique.